### Assignment
Print the part of the rows further below that starts with the line with "-0.61 1.92" and stops after the one with "-2.77 2.65".

### Contents
........
# 1
# C12H35FNO9

6 unconnected molecules or ions with the total composition C12H35FNO9 (ωB97M-V with the def2-TZVPD basis set, the OMol25 dataset).

Results
E_HOMO, eV: -5.9
Kohn-Sham gap, eV: 8.9
Energy relative to the best compared isomer or geometry (same formula, charge and spin), eV: 0.000

```
! RIJCOSX wB97M-V def2-TZVPD def2/J DEFGRID3
* xyz -1 1
F -0.48 -0.96 -0.93
C 2.04 1.36 1.24
C 0.95 2.33 0.81
C 1.39 3.79 0.78
O 1.55 4.23 2.12
C 1.62 5.59 2.36
N 0.41 1.94 -0.51
H 1.56 0.43 1.53
H 2.53 1.80 2.12
H 2.80 1.18 0.48
H 0.15 2.17 1.53
H 0.58 4.41 0.37
H 2.28 3.89 0.15
H 1.44 5.81 3.41
H 0.90 6.23 1.83
H 2.61 5.98 2.08
H 0.00 1.01 -0.42
H 1.24 1.81 -1.09
C -1.95 0.35 1.60
C -3.42 0.05 1.37
O -4.12 1.29 1.19
O -1.71 0.74 2.97
H -1.64 1.10 0.87
H -1.29 -0.48 1.37
H -3.84 -0.52 2.20
H -3.59 -0.47 0.43
H -3.93 1.86 1.94
H -1.63 -0.08 3.46
C -0.40 -3.82 0.59
C 0.74 -3.16 1.36
O 1.39 -2.24 0.52
O -1.35 -2.89 0.12
H -0.86 -4.65 1.14
H 0.08 -4.38 -0.22
H 1.45 -3.91 1.71
H 0.40 -2.65 2.26
H 0.68 -1.76 0.04
H -0.92 -2.21 -0.45
C -3.89 -0.69 -2.22
C -3.24 -2.01 -2.65
O -2.75 -1.95 -3.99
O -2.98 0.37 -2.30
H -4.26 -0.84 -1.19
H -4.80 -0.52 -2.82
H -3.94 -2.83 -2.49
H -2.33 -2.12 -2.06
H -3.42 -2.34 -4.56
H -3.42 1.22 -2.24
C 3.70 -1.99 -2.07
C 4.25 -1.09 -0.96
O 4.57 0.20 -1.50
O 2.32 -1.78 -2.25
H 3.88 -3.03 -1.78
H 4.24 -1.79 -2.99
H 5.21 -1.41 -0.55
H 3.52 -1.02 -0.15
H 3.84 0.52 -2.04
H 1.83 -2.07 -1.47
*
```

Atom charges from the Mulliken analysis, given in e for atoms 1 to 2: -0.9035, -1.1747



# 2
# C4H8O2

C4H8O2 in the gas phase (ωB97M-V with the def2-TZVPD basis set, the OMol25 dataset).

Results
E_HOMO, eV: -9.7
Kohn-Sham gap, eV: 10.5
Structure (SMILES): C[C@H](C=O)CO
Energy relative to the best compared isomer or geometry (same formula, charge and spin), eV: 1.229

```
! RIJCOSX wB97M-V def2-TZVPD def2/J DEFGRID3
* xyz 0 1
C -1.14 -1.11 0.34
C -0.27 0.15 0.31
C 1.15 -0.11 -0.21
O 2.02 0.82 0.40
C -0.88 1.26 -0.52
O -1.85 1.13 -1.23
H -2.20 -0.85 0.43
H -0.87 -1.74 1.20
H -1.02 -1.71 -0.57
H -0.14 0.55 1.33
H 1.44 -1.14 0.03
H 1.17 -0.01 -1.31
H 2.93 0.53 0.26
H -0.35 2.23 -0.47
*
```

Atom charges from the Mulliken analysis, given in e for atoms 1 to 2: -1.4607, 0.5916



# 3
# C37H22Cl5N9O3Tl

A molecular structure, C37H22Cl5N9O3Tl (ωB97M-V with the def2-TZVPD basis set, the OMol25 dataset).

Results
E_HOMO, eV: -10.2
Kohn-Sham gap, eV: 6.0
Energy relative to the best compared isomer or geometry (same formula, charge and spin), eV: 0.223

```
! RIJCOSX wB97M-V def2-TZVPD def2/J DEFGRID3
* xyz 1 1
Tl 0.18 0.34 0.78
O 4.19 2.24 1.12
C 3.76 3.45 1.52
C 4.62 4.53 1.32
C 4.24 5.80 1.70
C 3.00 6.03 2.28
C 2.13 4.98 2.46
C 2.49 3.68 2.08
C 1.50 2.60 2.17
O 1.88 1.37 2.00
N 0.23 2.95 2.37
N -0.61 1.92 2.20
C -1.81 1.92 2.62
C -2.64 0.71 2.45
C -3.96 0.70 2.89
C -4.67 -0.49 2.84
C -4.05 -1.63 2.36
C -2.73 -1.52 1.93
N -2.05 -0.38 1.95
H 3.49 1.60 1.36
H 5.58 4.33 0.86
H 4.92 6.62 1.54
H 2.71 7.03 2.58
H 1.15 5.14 2.89
H -2.20 2.76 3.18
H -4.40 1.60 3.29
H -5.70 -0.53 3.18
H -4.56 -2.58 2.33
H -2.22 -2.39 1.53
C 2.99 -2.79 2.46
C 2.20 -1.65 2.32
N 1.20 -1.64 1.45
C 0.97 -2.72 0.70
C 1.78 -3.84 0.85
N 2.78 -3.87 1.72
C -0.16 -2.65 -0.28
C -0.72 -3.78 -0.83
C -1.79 -3.65 -1.71
C -2.26 -2.38 -1.99
C -1.65 -1.28 -1.40
N -0.62 -1.43 -0.56
C -2.09 0.12 -1.65
C -2.80 0.49 -2.79
N -3.14 1.75 -3.01
C -2.77 2.65 -2.11
C -2.05 2.29 -0.98
N -1.73 1.03 -0.75
C -2.43 -4.85 -2.31
C -1.67 -5.92 -2.74
C -2.31 -7.02 -3.30
N -3.63 -7.10 -3.43
C -4.36 -6.07 -3.01
C -3.81 -4.92 -2.45
H 3.80 -2.81 3.17
H 2.37 -0.75 2.89
H 1.64 -4.72 0.23
H -0.36 -4.77 -0.56
H -3.09 -2.24 -2.66
H -3.07 -0.23 -3.55
H -3.04 3.68 -2.30
H -1.70 3.03 -0.27
H -0.59 -5.91 -2.68
H -1.74 -7.86 -3.66
H -5.44 -6.16 -3.12
H -4.46 -4.12 -2.11
Cl 6.04 3.17 -2.97
C 4.50 2.76 -2.32
C 4.15 1.43 -2.12
Cl 5.25 0.18 -2.53
C 2.91 1.11 -1.57
Cl 2.48 -0.55 -1.32
C 1.99 2.09 -1.20
O 0.84 1.85 -0.61
C 2.35 3.43 -1.46
Cl 1.20 4.65 -1.05
C 3.58 3.76 -1.99
Cl 3.99 5.41 -2.23
*
```
........

### Worked solution
N -0.61 1.92 2.20
C -1.81 1.92 2.62
C -2.64 0.71 2.45
C -3.96 0.70 2.89
C -4.67 -0.49 2.84
C -4.05 -1.63 2.36
C -2.73 -1.52 1.93
N -2.05 -0.38 1.95
H 3.49 1.60 1.36
H 5.58 4.33 0.86
H 4.92 6.62 1.54
H 2.71 7.03 2.58
H 1.15 5.14 2.89
H -2.20 2.76 3.18
H -4.40 1.60 3.29
H -5.70 -0.53 3.18
H -4.56 -2.58 2.33
H -2.22 -2.39 1.53
C 2.99 -2.79 2.46
C 2.20 -1.65 2.32
N 1.20 -1.64 1.45
C 0.97 -2.72 0.70
C 1.78 -3.84 0.85
N 2.78 -3.87 1.72
C -0.16 -2.65 -0.28
C -0.72 -3.78 -0.83
C -1.79 -3.65 -1.71
C -2.26 -2.38 -1.99
C -1.65 -1.28 -1.40
N -0.62 -1.43 -0.56
C -2.09 0.12 -1.65
C -2.80 0.49 -2.79
N -3.14 1.75 -3.01
C -2.77 2.65 -2.11